Objectives We aimed to calculate the weekly growth of the incidence and the effective reproductive number (Rt) of the 2022 Monkeypox epidemic during its introduction in Brazil.
Methods We described the case distribution in the country and calculated the incidence trend and the Rt in the four geographical states with the highest case reports. By using two regression approaches, count model and the Prais-Winsten, we calculated the relative incidence increase. Moreover, we estimated the Rt for the period between the 24th and the 50th days after the first official report, using a serial interval reported in another population and two alternative values (± 3 days).
Results Up to August 22, 3.896 Monkeypox cases were confirmed in Brazil. The weekly incidence increases were between 37.5% (95% CI: 20.7% -56,6%) and 82.1% (95% CI: 59.5% -107.8%), and all estimates of Rt were statistically higher than 1 in the four states analyzed.
Conclusion The Monkeypox outbreak in Brazil is a significant public health emergency that requires coordinated public health strategies such as testing, contact tracing, and vaccination.
In July of 2022, the World Health Organization declared that the monkeypox outbreak was a public health emergency of international concern (1). Up until August 22, 2022 there were 43.583 confirmed cases and 9 deaths worldwide (2). In Brazil, the first case was confirmed on June 8, 2022, increasing to 3.896 confirmed cases until August 22, 2022 (2). Brazil also registered one Monkeypox death, on July 29, 2022, in the state of Minas Gerais (MG).
Although this outbreak is unprecedented, Monkeypox is not a new disease. The virus was discovered in 1959 and it is an endemic disease in Central and West Africa (3,4). In addition, outbreaks were reported in non-endemic countries, such as the United States of America in 2003 and the United Kingdom in 2018 (5,6). Outbreaks were also reported in the Democratic Republic of the Congo, where Monkeypox is endemic, in 2013(7). Data on literature prior to the aforementioned outbreaks have warned about the risk of reintroduction of Monkeypox virus in the human population, once the virus might infect susceptible animals (8). Moreover, the additional protection by smallpox vaccine decreases over time in the population and, as the vaccine campaigns against smallpox were interrupted with the eradication of this disease, younger people were not immunized against this disease (9).
Incidence trends and reproductive number estimates are important to recognize the potential extension of an outbreak and to justify public health interventions (3). In this work, we aimed to estimate the weekly incidence growth and the effective reproductive number (Rt) of the 2022 Monkeypox epidemic during its introduction in Brazil.
This was an ecological study based on surveillance data of the epidemiological reports posted by the Brazilian National Health Ministry (10). With this data, we created a database with all of the new and accumulated cases and deaths (11). We focused on the four states with more than 150 cases up to August 22, 2022. These states are SP (São Paulo), RJ (Rio de Janeiro), MG and Goiás, which geographically includes the Federal District of Brasília (GO-FD).
== Someone pasted quantum chemistry results at this point ==
(1)
A structure of composition C25H34Br60ClN2O4PSi at a distorted geometry. Source: the Open Molecules 2025 dataset; level of theory: ωB97M-V/def2-TZVPD.

XYZ file:
```
128
Properties=species:S:1:pos:R:3:forces:R:3:mulliken_charge:R:1
Br -0.008607 9.794439 7.556410 0.0 -0.1 -0.1 -0.019
Br -3.194486 2.497965 1.592181 0.6 1.3 0.4 0.199
Br 1.742127 -8.248486 -2.396265 -0.1 0.0 -0.3 -0.019
Br 3.919787 5.267661 -11.160400 -0.1 -0.2 0.1 -0.025
Br -0.055126 6.677656 6.845944 0.0 0.2 -0.2 0.058
Br 4.734673 11.398799 4.475096 0.0 -0.2 -0.1 -0.020
Br -2.988597 -4.784298 -6.687186 0.1 -0.2 0.2 -0.059
Br 9.040956 0.840104 2.752525 -0.2 0.1 0.1 -0.035
Br -5.919961 -8.180895 -2.198019 0.0 0.0 -0.2 -0.049
Br 6.721409 1.517057 4.845509 0.0 0.0 -0.1 -0.007
Br -6.334234 -7.445432 -5.290423 0.1 -0.2 0.2 0.007
Br 1.935386 3.177057 -5.570834 -0.2 0.0 0.7 0.110
Br 1.822854 4.363285 3.473919 0.1 0.0 -0.3 0.111
Br 1.520175 2.895536 0.621620 0.3 0.3 0.8 -0.020
Br 6.429828 2.422279 1.790306 0.2 0.0 0.3 0.107
Br 1.462378 -10.113684 -4.986118 0.0 0.3 0.1 -0.014
Br -4.590185 5.008533 3.005033 0.2 -0.1 -0.1 -0.027
Br 0.924608 -0.233646 -4.447236 0.6 0.4 -1.3 0.205
Br 6.057561 7.012183 -0.321854 0.4 0.1 -0.2 -0.054
Br -0.805938 0.279235 8.793445 -0.1 0.2 -0.1 0.021
Br 6.359995 0.865241 -5.713264 0.0 0.2 -0.1 -0.022
Br -1.282530 3.412174 8.389307 -0.2 -0.1 0.0 0.060
Br -2.420351 -3.618648 9.507308 0.1 0.1 0.3 0.102
Br -2.287717 -6.191414 -3.896910 0.0 -0.1 -0.5 0.208
Br -4.372528 -2.532010 6.477440 -0.1 -0.2 0.0 0.030
Br -8.156482 -13.939511 -4.294435 0.2 0.0 -0.2 -0.001
Br -3.608600 1.587104 9.635081 0.3 0.0 -0.2 -0.007
Br 3.397991 5.589894 0.941695 -0.5 -0.7 0.2 0.146
Br 4.664907 9.486669 1.913161 0.0 0.0 0.3 -0.027
Br -4.610673 2.548570 -5.051491 0.2 -0.1 -0.2 -0.036
Br -5.034994 -14.305440 -4.899918 -0.2 0.0 -0.1 -0.022
Br 5.964926 4.042174 -5.810979 0.1 -0.2 -0.1 0.039
Br 3.741662 10.601859 9.910500 -0.2 -0.1 0.1 0.003
Br 4.856960 5.143306 7.021534 0.0 0.0 0.1 0.002
Br 2.030827 -6.980553 -5.322186 -0.1 -0.1 0.1 -0.010
Br 5.919214 2.342062 -8.520869 0.1 0.0 0.2 -0.005
Br 4.823867 8.248180 4.887539 0.2 0.0 -0.2 0.042
Br 2.141106 3.851266 -2.394846 -0.4 -0.2 -0.9 0.114
Br -6.698393 -4.373759 7.686905 0.3 0.0 -0.1 -0.002
Br 6.320601 4.042230 -1.431588 -0.1 0.0 -0.3 -0.031
Br 2.094350 7.874120 10.196006 0.1 0.1 0.1 0.056
Br -0.753752 3.798749 -3.912063 0.4 -0.1 0.1 -0.035
Br -7.039655 -13.507917 -7.264495 0.0 -0.1 0.3 0.000
Br 2.490676 4.142418 -8.527019 -0.1 0.1 -0.5 0.014
Br 1.312044 8.769329 4.821319 -0.4 -0.1 0.3 -0.017
Br 0.929304 -3.227725 -5.578106 0.1 0.1 -0.2 0.025
Br -3.882037 -5.672450 6.887133 -0.2 0.2 0.0 -0.035
Br -1.582862 5.251696 1.923515 -0.4 0.0 0.1 0.038
Br -0.386904 -4.085999 11.938048 -0.2 0.1 -0.1 -0.029
Br 2.278000 9.895325 12.671733 0.0 0.0 -0.3 -0.037
Br -5.694999 -10.464247 -4.433805 0.0 0.2 0.1 0.025
Br 0.169411 -0.797864 -7.524275 0.4 -0.2 0.2 -0.028
Br 2.504356 2.395002 -11.207632 0.0 0.2 0.1 -0.024
The Brazilian Health Ministry defines a suspected Monkeypox case as a case that shows one or more of the following criteria(12):
- Prolonged exposure with no respiratory protection OR direct physical contact, including sexual contact, with multiple and/or unknown partner in the 21 days before the marks and/or symptoms’ onset;
- Prolonged exposure with no respiratory protection OR close contact history, including sexual, with suspected or confirmed Monkeypox case in the 21 days before the marks and/or symptoms’ onset;
- Contact with contaminated materials like sheets and bathroom towels or common use utensils that belong to a suspected or confirmed Monkeypox case in the 21 days before the marks and/or symptoms’ onset;
- Health workers without proper use of protection equipment with history of contact with suspected or confirmed Monkeypox case in the 21 days before the marks and/or symptoms’ onset.
Confirmed cases are defined by a suspected case with positive PCR result for the Monkeypox virus (MPXV)(12).
Considering the confirmed cases, we performed two analyses: first we estimated the weekly growth of the incidence of Monkeypox, starting one day after the first case reporting in the corresponding state. After grouping the cases by week, we used two regression approaches: first, we used count models of Poisson and negative binomial regression and reported the last one when the alpha term differed significantly from zero (13,14). We also applied the Prais-Winsten regression to the natural logarithm of the weekly case count (15,16). We reported the relative incidence increase calculated as 1-eβ, where β is the regression coefficient. We chose to use both regressions to ensure that we have a consistent result on the weekly growth estimates.
Additionally, we estimated the Rt by using the “estimate_R” function contained in the “EpiEstim” package of the R programming language in each of these four states (17,18,19). We used the “parametric_si” configuration of the package (script available as supplementary material). One of the parameters that we need to estimate the Rt is the serial interval (SI) of the disease. The SI consists of looking at a pair of cases and extracting the amount of days between the day that the disease installs itself on the primary case and the day that it installs itself on the secondary case. Since the microdata of Monkeypox cases in Brazil are unavailable, we do not have the local SI data, so we used a value recently calculated in the United Kingdom (20). This SI was obtained from 17 pairs of cases (primary -secondary) of the United Kingdom. The mean SI calculated in this study is 9.8 days, and the standard deviation is 9.1 days (20). Since SI can be different from one location to another, we also calculated the Rt for two more SI values defined by subtracting and adding three days to the reference (6.8 and 12.8 days, respectively) (20).
The Rt is estimated on weekly sliding windows, given by the parameters “t_start” and “t_end”. The cases first started to be officially notified in Brazil on June 26, 2022, and we calculated the daily Rt oscillation from the 24th day after that day. We also calculated the mean Rt with the same method, using the “estimate_R” function, but with the parameter “t_start” as 24 and the parameter “t_end” as 50, as a summary estimate for each state.
This study used public data, and the analysis was performed using R (version 4.2.1) and Stata (version 17.0, Stata Corp LP, College Station, TX, USA)
The 3.896 confirmed Monkeypox cases in Brazil up to August 22, 2022, almost doubled when compared to the 2.004 cases that were notified up to August 5, 2022. The state with the most reported cases was SP, followed by RJ and GO-FD (Figures 1 and 2). However, the highest relative increase of incidence was observed in GO-FD, being 74.7% per week using the count model and 82.1% using the Prais-Winsten regression. In all states, the increasing trend was statistically significant with both regression approaches (Table).
Brazil maps with Monkeypox incidence by region: North (A), Northeast (B), Center West (C), Southeast (D) and South (E)
Epidemic curve of the four analyzed states: GO-FD (A), RJ (B), MG (C) and SP (D)
The Rt was also higher in GO-FD, with 2.07 (95% CI: 1.98 -2.16), followed by SP with 1.70 (1.68 -1.72), RJ with 1.65 (1.61,1.70) and MG with 1.64 (1.57,1.72). The Rt, estimated after the 24th day of the outbreak with a SI of 9.8 days, oscillates between 1.86 and 2.62 in GO-FD, 1.54 and 2.00 in RJ, 1.56 and 1.77 in MG and 1.48 and 2.16 in SP (Figure 3). With SIs of 6.8 days and 12.8 days (−3 and +3 days) all the Rt estimates stayed significantly above 1 (Figure 4).
Rt estimates from GO-FD (A), RJ (B), MG (C) and SP (D) with an SI of 9.8 days
Rt estimates from GO-FD (A), RJ (B), MG (C) and SP (D) with SIs of 6.8 and 12.8 days (−3 and +3)
In the present study, we illustrated a significant increase in confirmed Monkeypox cases in Brazil up to August 22, 2022. We are also observing a similar pattern in other states (data not shown), like Paraná and Rio Grande do Sul, even with lower numbers of cases (104 and 61, respectively). The values of Rt estimated for four states are considerably high and may be comparable with some calculated for COVID-19 (13). However, it is important to highlight that these two infectious agents have significantly different profiles of transmission. Monkeypox transmission appears to mainly occur by direct contact in the current outbreak, which can be related to a high viral load on skin lesions (22,23). Moreover, there is evidence of a lesion staying positive on the PCR test for up to 21 days (24). We hypothesize that a prolonged infectious period could explain high Rt values even if the ways of transmission were limited.
This Rt is also consistent with other findings. Kwok et al. (2022) estimated a Ro of 1.6 (1.5-1.7) in England, 1.4 (1.2-1.6) in Portugal and 1.8 (1.7-2.0) in Spain(20). Despite the differences among these populations, these data indicate the increasing transmission of Monkeypox in human populations during the current outbreak. Therefore, it is urgent to identify and interrupt the main transmission routes.
Our study had some methodological limitations. The sample size was limited and Rt can be unstable during the early stages of the epidemic (25). Therefore, we restricted our analysis to four states and the Rt was estimated after the 24th day of the first official case notification. Another limitation is the potential delay in both notification and testing, affecting the real-time monitoring of the incidence.
We estimated the Rt with a preset SI obtained from another population, from the United Kingdom, since the Brazilian microdata was unavailable (20). However, we believe this value could be compatible with that expected in Brazil since it was recently calculated in the context of the current epidemic. On the other hand, the sensitivity analysis, with alternative values of SI, supports robust conclusions regarding the lack of transmission control. In that sense, our Rt estimates correlated well with the observed upward trends across the states, which give a reference of the potential transmissibility of Monkeypox in Brazil.
Our results highlight the need for effective public health measures such as testing, contact tracing and isolation of the confirmed cases. There is also a need for smallpox vaccination which could protect against Monkeypox (26), in spite of the fact that we do not have a specific Monkeypox vaccine at this moment. It also reinforces the importance of surveillance and more detailed public data to ensure that more analysis can be made. The weekly growth rates might be related to long infectious periods of the Monkeypox disease. If this hypothesis is confirmed with further studies, it could guide assertive public health interventions, such as prolonged isolation, to counteract the current epidemic.
Conflicts of Interest
The authors declare no conflict of interest.
Funding Statement
This work had no specific funding. However, FADQ is beneficiary of a fellowship for research productivity from the National Council for Scientific and Technological Development -CNPq, process/contract identification: 312656/2019-0.
We would like to acknowledge Leonardo Medeiros for collecting the data on the official daily postings of the Brazilian Health Ministry and Leonardo Bastos for helping with R packages and references.
This manuscript has been revised to include data up to August 22, 2022 and we also included a sensitivity analysis for the Rt estimate, using two more serial intervals. The supplemental file (R script) was also updated to include this sensitivity analysis.